VISA Classic revolving credit card is a convenient and cost-effective payment instrument
- 50 days grace period for interest-free debt payment
- Contactless payments
- Greater security for online payments thanks to Verified by VISA (VbV) secure payment automatic registration
- No issuance fee
- No reissuance fee upon card expiry
- No fee for payment of goods and services in Bulgaria and abroad
- No fee for online payments
- No collateral (credit limit without collateral)
- No solvency assessment for issuing VISA Classic card (pledge of financial assets)
- Optional SMS notifications for each authorization
- Free card delivery to your address or to a BACB office
- Optional SMS with secure payment PIN and password for even greater security
- Secure and convenient use of own funds, added to the credit limit
VISA Classic is a revolving credit card, with a credit limit provided by BACB. This card allows you to make online payments fast and easy, to shop at POS terminals in Bulgaria and around the world, and to make online reservations via e-mail or phone. BACB International VISA Classic revolving credit card supports the contactless payment function (PayWave). PayWave allows cardholders to purchase goods and services for less than 100 BGN without a PIN or a signature on a POS terminal receipt. The card provides maximum protection against abuse, guaranteed by chip technology. BACB VISA Classic credit cards offer high level of security for online payments, since BACB cards automatically receive a password for secure online payments.
Who is it suitable for
VISA Classic is suitable for everyone who wants to use it as a universal payment instrument and for those who want to benefit from the interest-free 50-day grace period.
Currency :
Validity :
3 years
- Credit limit – from 500 BGN to 5000 BGN
- Up to 50 days’ interest-free grace period if the entire debt is paid within this period
- Optional SMS notifications for each authorization
- Possibility to use own funds exceeding the credit limit
- Possibility to issue additional cards for relatives or children above the age of 14
- 24-hour service from BORICA card center
Necessary documents
- A request for issuing a credit card to natural persons
- Card-holder’s ID card (in case of application at a branch at BACB branch office)
- Qualified Electronic Signature (in case of online application)
If documented proof of income is required:
**The piece is interrupted by calculated crystals:**
<<<
Record 1
Diffraction record for NaLaSe2O6. The PXRD pattern is computed, not measured: it uses a GGA-PBE-relaxed structure and Cu Kα, 1.54184 Å.

Structural model:
```
data_NaLaSe2O6
_chemical_formula_sum 'Na4 La4 Se8 O24'
_symmetry_space_group_name_H-M 'F m -3 m'
_symmetry_Int_Tables_number 225
_symmetry_space_group_name_Hall '-F 4 2 3'
_cell_length_a 8.0012
_cell_length_b 8.0012
_cell_length_c 8.0012
_cell_angle_alpha 90.00
_cell_angle_beta 90.00
_cell_angle_gamma 90.00
loop_
_atom_site_label
_atom_site_fract_x
_atom_site_fract_y
_atom_site_fract_z
Na1 0.0000 0.0000 0.0000
La1 0.0000 0.0000 0.5000
Se1 0.2500 0.2500 0.2500
O1 0.0000 0.2500 0.2500
```

Peak list (10 most intense, 10° ≤ 2θ ≤ 90°, low angle first)
d_spacing	Rel. int.	(hkl)
4.619	35	1 1 1
2.829	100	2 2 0
2.412	20	3 1 1
2.000	38	4 0 0
1.836	9	3 3 1
1.633	39	4 2 2
1.540	7	5 1 1
1.414	22	4 4 0
1.265	17	6 2 0
1.155	7	4 4 4

Record 2
Diffraction record for Na3SmTi2Nb2O12. The PXRD pattern is computed, not measured: it uses a GGA-PBE-relaxed structure and Cu Kα, 1.54184 Å.

Structural model:
```
data_Na3SmTi2Nb2O12
_chemical_formula_sum 'Na6 Sm2 Ti4 Nb4 O24'
_symmetry_space_group_name_H-M 'P m c 21'
_symmetry_Int_Tables_number 26
_cell_length_a 15.5931
_cell_length_b 5.5053
_cell_length_c 5.6104
_cell_angle_alpha 90.00
_cell_angle_beta 90.00
_cell_angle_gamma 90.00
loop_
_symmetry_equiv_pos_as_xyz
'x,y,z'
'-x,-y,z+1/2'
'-x,y,z'
'x,-y,z+1/2'
loop_
_atom_site_label
_atom_site_fract_x
_atom_site_fract_y
_atom_site_fract_z
Na1 0.0000 0.2448 0.0000
Na2 0.2528 0.2494 0.9543
Sm1 0.5000 0.2404 0.0196
Ti1 0.3720 0.2602 0.4899
Nb1 0.1268 0.2543 0.4882
O1 0.0000 0.3176 0.4477
O2 0.1090 0.0421 0.7538
O3 0.1446 0.4570 0.1724
O4 0.2538 0.1823 0.4780
O5 0.3647 0.4567 0.1665
O6 0.4032 0.0400 0.7412
O7 0.5000 0.3320 0.4374
```

Peak list (10 most intense, 10° ≤ 2θ ≤ 90°, low angle first)
d_spacing	Rel. int.	(hkl)
7.797	22	2 0 0
5.198	24	3 0 0
3.810	43	1 1 1
2.805	27	0 0 2
2.767	100	4 1 1
2.753	24	0 2 0
1.965	35	0 2 2
1.949	19	8 0 0
1.612	20	4 1 3
1.592	34	4 3 1

Record 3
Diffraction record for Hf5Si3. The PXRD pattern is computed, not measured: it uses a GGA-PBE-relaxed structure and Cu Kα, 1.54184 Å.

Structural model:
```
data_Hf5Si3
_chemical_formula_sum 'Hf10 Si6'
_symmetry_space_group_name_H-M 'P 63/m c m'
_symmetry_Int_Tables_number 193
_symmetry_space_group_name_Hall '-P 6c 2'
_cell_length_a 7.8900
_cell_length_b 7.8900
_cell_length_c 5.5115
_cell_angle_alpha 90.00
_cell_angle_beta 90.00
_cell_angle_gamma 120.00
loop_
_atom_site_label
_atom_site_fract_x
_atom_site_fract_y
_atom_site_fract_z
Hf1 0.0000 0.2530 0.2500
Hf2 0.3333 0.6667 0.0000
Si1 0.0000 0.3906 0.7500
```

Peak list (10 most intense, 10° ≤ 2θ ≤ 90°, low angle first)
d_spacing	Rel. int.	(hkl)
3.416	45	2 0 0
3.208	67	1 1 1
2.583	54	2 1 0
2.556	47	1 0 2
2.339	97	2 1 1
2.278	57	3 0 0
2.259	100	1 1 2
1.604	31	2 2 2
1.497	24	2 1 3
1.452	35	4 0 2

~~~~~
>>>
**The calculated crystals stop here:**
- A certificate by the employer, indicating the cardholder’s monthly salary (on Bank’s template)
- Persons, who assume management positions, yet are not owners/co-owners of their employer companies, must submit their management contracts to serve as proof of income
- Persons, who assume management positions and are owners/co-owners of their employer companies, must submit their management contract along with the latest certified tax return to serve as proof of profit of the company they manage / represent
- In case of non-employment income – a copy of the tax return, service contracts, management contracts, contracts, evidencing rental income, etc.
- A certificate, under art. 87, para. 6 of the Tax and Social Insurance Procedure Code – for credit limits, exceeding 10 000 BGN (related to the debtor and the owner of the collateral)
- BACB Deposit/s contract/s, which shall serve as collaterals of the credit limit (in case of pledges of a financial asset)
- Other documents, requested by BACB at its discretion